(Exercise)
Next, filter the contents below: keep the lines with the word "lowest".

(File)
'''
Record 1
Density functional theory data (ωB97M-V/def2-TZVPD) for a structure of composition C15H23DyN2O4P in a non-equilibrium geometry.

Structure (XYZ):
```
46
Properties=species:S:1:pos:R:3:mulliken_spin:R:1
Dy 5.4444 -0.5346 2.2702 4.23
P -0.5074 1.0014 -3.2425 0.00
O 0.6877 2.2297 -3.2814 0.00
O -0.8702 4.0267 -1.1692 0.94
O -1.7368 -0.6988 -1.5334 0.00
O -2.7055 2.7816 -1.6586 0.09
N -1.9001 1.1509 0.7470 0.00
N -4.6931 -1.4864 0.4340 0.00
C -0.7033 0.3114 -1.4458 0.01
C 0.9868 0.0710 2.2809 -0.03
C -0.9482 1.4692 -0.3694 0.02
C -2.4790 -0.2358 0.7620 0.00
C 0.2676 -0.4546 -4.1940 0.00
C 3.6485 -0.5836 0.6944 0.12
C 4.2590 -2.6723 2.5584 -0.24
C 2.6616 0.5170 0.2454 0.13
C 1.9756 -1.0622 2.7708 -0.03
C -1.7552 -1.2999 -0.1873 0.00
C -1.5692 2.7777 -1.1224 -0.04
C -4.0694 -0.1330 0.4279 0.00
C 3.2874 -1.4330 2.0163 -0.26
C 1.3215 0.8779 0.9945 0.02
C 0.4289 2.0225 0.3252 0.00
H 4.6229 -2.5182 3.6554 0.09
H 1.4136 -0.3782 -4.0397 0.00
H -4.5218 -1.8587 -0.5243 0.00
H -2.4104 -0.6177 1.8539 0.00
H 0.4035 2.9815 -3.8535 0.00
H -2.3031 -2.3119 -0.2353 0.00
H -1.4534 1.3710 1.6638 0.00
H 0.2896 -0.2616 -1.2524 0.00
H 0.1437 2.8402 1.0760 0.00
H -0.7028 -1.5223 0.2035 0.00
H -4.5151 0.5300 1.2641 0.00
H -4.1346 -2.0894 1.0732 0.00
H 5.1529 -2.8802 1.8458 -0.09
H -0.0699 -1.4319 -3.7054 0.00
H -2.7121 1.8146 0.6896 0.00
H 1.0419 2.4786 -0.5411 0.00
H 1.7505 -1.6985 3.7051 0.00
H 0.0188 0.2816 2.8550 0.00
H -0.0220 -0.4879 -5.2947 0.00
H 3.5907 -3.6153 2.5107 0.03
H 2.9236 1.0842 -0.7184 0.01
H 4.6072 -0.7616 0.0279 0.01
H -4.1452 0.4086 -0.5825 0.00
```

Energy = -2220.83977 a.u.
Highest occupied orbital energy (spin up / spin down) = -15.649 / -15.644 eV
Total charge = +3
Multiplicity = 6
LUMO energy (spin up / spin down) = -11.5 / -11.3 eV

Record 2
Density functional theory data (ωB97M-V/def2-TZVPD) for a structure of composition C3H5NO2 in a non-equilibrium geometry.

Structure (XYZ):
```
11
Properties=species:S:1:pos:R:3:nbo_charge:R:1
O 0.1093 -2.0188 -0.4197 -0.51
O 0.3137 1.2932 0.3067 -0.57
N 2.0626 -0.1256 0.1528 -0.79
C -0.2480 -0.8803 -0.2083 0.53
C -1.7759 0.3611 -0.0784 -0.64
C 0.7674 0.1881 0.1086 0.51
H 2.7018 0.6235 0.3665 0.41
H -2.3410 -0.1044 0.7145 0.20
H 2.3688 -1.0664 -0.0242 0.41
H -2.1889 0.2707 -1.0711 0.20
H -1.7698 1.4589 0.1526 0.24
```

Energy = -322.46788 a.u.
Highest occupied orbital energy = -9.503 eV
Relative energy (zero: lowest compared OMol25 entry of this formula, charge and spin) = 2.8967 eV
Multiplicity = 1
LUMO energy = 0.1 eV

Record 3
Density functional theory data (ωB97M-V/def2-TZVPD) for a structure of composition C40H45BrClN2OTi.

Structure (XYZ):
```
91
Properties=species:S:1:pos:R:3:nbo_charge:R:1
Br 4.1137 3.6410 4.5405 0.09
Ti 1.2312 -0.8728 0.4729 1.83
Cl 3.5102 -2.3520 0.7661 0.02
O 0.9685 -2.0886 -1.3305 -0.76
N -0.4947 -1.2747 0.8514 -0.83
N 2.8521 0.1211 -1.2231 -0.54
C 2.9962 2.6747 2.1135 -0.26
C 1.9071 -2.4902 1.5508 -0.79
C -1.2660 2.4588 0.4583 0.08
C 4.0369 0.4449 -0.6710 0.05
C 5.1268 0.8888 -1.3875 -0.20
C 1.4631 -0.1653 -3.2309 -0.44
C -1.0382 2.0041 -2.2810 -0.06
C 1.7846 0.5624 1.8647 -0.55
C -1.4000 2.7196 1.9396 -0.66
C -0.2416 2.9866 -1.6738 0.06
C 3.7978 0.6889 -3.3446 -0.25
C -2.3611 -2.7202 0.3334 -0.15
C -1.2787 -1.0458 3.5691 -0.19
C -3.1982 0.8986 0.6623 -0.64
C -3.7413 -2.5356 0.3802 -0.13
C -1.0428 1.8557 -3.7855 -0.65
C -0.3662 3.2248 -0.2974 -0.07
C 1.9600 0.3558 3.2398 -0.13
C -1.7399 -2.0659 2.7339 -0.08
C -2.7503 0.1750 -2.2221 -0.64
C -2.4076 -3.1640 3.2775 -0.18
C -1.8164 -3.6053 -0.5937 -0.21
C -2.6394 -4.2664 -1.4948 -0.19
C -4.5585 -3.1778 -0.5382 -0.21
C 1.7837 -2.5272 -2.4359 -0.07
C 1.4900 -1.6473 -3.6330 -0.41
C 2.6296 1.2687 4.0383 -0.27
C 3.1606 2.4157 3.4627 -0.07
C 2.2842 1.7618 1.3457 -0.20
C 5.0049 1.0187 -2.7605 -0.14
C -2.1378 -2.2300 5.4736 -0.16
C -2.5942 -3.2490 4.6490 -0.21
C -4.0086 -4.0382 -1.4796 -0.19
C 2.7411 0.2407 -2.5596 0.25
C -1.9365 1.2415 -1.5232 -0.02
C -2.0846 1.5071 -0.1553 -0.03
C -1.4867 -1.1264 4.9335 -0.21
'''

(Response)
Relative energy (zero: lowest compared OMol25 entry of this formula, charge and spin) = 2.8967 eV